“Cake” depicts Liz, a new mother, in a difficult transitional stage: leaving her 18-month-old son, Daniel, to re-enter the workforce. Kennedy centers Liz’s maternal emotions and her coworkers’ experiences as mothers throughout the story. As Liz goes throughout her day, she cycles through intense guilt, anxiety, anger, and joy as a result of her role as a mother. Through Liz’s less-than-joyous return to work, Kennedy suggests that while motherhood should perhaps be about solidarity and community, in reality it is usually a lonely, isolating experience.
Crystal structures, kept here for reference
/*
A relaxed structure of CdTePb6O10, computed with PBE-GGA.

Cell lengths 9.3088, 11.7540, 11.5158 Å; angles 90.00, 90.00, 90.00 degrees
Closest atoms and distances in Å follow each position.
Space group C222_1 (No. 20)
Asymmetric unit:
Cd 0.0000 0.0778 0.2500  6 O 2.27-2.51
Te 0.1748 0.0000 0.0000  6 O 1.97-2.01
Pb 0.0000 0.4917 0.7500  2 O 2.23
Pb 0.0054 0.2800 0.4849  3 O 2.26-2.48
Pb 0.2012 0.0000 0.5000  6 O 2.47-2.74
Pb 0.2087 0.2140 0.7602  3 O 2.27-2.52
O 0.0183 0.0618 0.8976  1 Te 2.01
O 0.1278 0.3805 0.1507  3 Pb 2.23-2.32
O 0.1504 0.1717 0.3721  2 Pb 2.26-2.28, 1 Cd 2.27
O 0.1700 0.1406 0.0929  1 Te 1.97
O 0.1823 0.4307 0.3949  1 Te 1.97

Summary:
ΔE_f: -1520 meV per atom
Crystal system: orthorhombic
Calculated volume: 17.5 Å³/atom
*/
Liz’s fellow working mothers Julie, Stella, and Caroline are eager to hear about her experiences on maternity leave and see pictures of the baby. But while Liz’s female coworkers initially seem to offer her a source of solidarity and community, this quickly dissolves. When these women arrive at the subject of returning to work, they do their best to be supportive initially, but they only want to hear stories that validate their own experiences. “When I had Toby, I couldn’t wait to get my brain working again after all those months home bored out of my skull,” one comments. Another reminds the younger women that when she had kids, “there wasn’t any of this going back to work. You were just stuck there, getting driven up the wall.” When Liz does not indulge in maternal horror stories of “midnight feeds and daytime television and projectile vomit,” and says meekly that she actually enjoyed staying home, she notices that there is an “alliance that wavers and falls at her words.” Rather than allowing her to bond with her coworkers, her attitude towards motherhood sets her apart from them. Returning to work, far from providing her with a sense of community, only makes Liz feel alienated from other women in her position.
The men at Liz’s office don’t even offer the pretense of solidarity, making her feel even more isolated. While the women crowd around her asking for stories, Liz notices “something pass between Tim and Dave—an eyeroll, a resigned grin. Then the faintest headshake, unmistakable to her. Disdain.” Desperate for comfort after lunch, she mistakes her boss’s questions about her feelings regarding a business meeting for questions about coping with being a working parent, and feels embarrassed after she responds emotionally about how hard it was to leave Daniel at childcare. Even her husband, Andrew, offers little sympathy, chastising her for complaining about her difficulty adjusting because they agreed she had to work to pay off their mortgage. Liz notices how casually he reacts to seeing Daniel come home from daycare, thinking begrudgingly, “For him, this is normal.” Since he is used to leaving the house and returning to Daniel in the evening, he can’t relate to her experience of having to leave her child for the first time. The men she interacts with throughout the story react to her experiences of motherhood with disdain, apathy, and judgement, increasing her sense of isolation and incompetence.
Rather than questioning the source of her frustrations, Liz directs her anger and sadness inward. She blames her “baby brain,” and surging hormones for the intense emotions. When Julie makes a remark about the importance of weaning and preventing babies from “dictating” one’s “own life,” Liz’s anger quickly morphs into self-loathing. She reminds herself, “No point aiming this seething fury at anybody but yourself.” Liz believes a cocktail of maternal hormones and personal weaknesses are to blame for her maladjustment, but in reality she is faced with peers who invalidate her feelings and judge her approach to motherhood. Liz’s approach to motherhood brings her both joy and sorrow, creating a close bond with Daniel but driving a wedge between her and other adults, especially other mothers. Her coworkers and husband react to her motherly emotions as if they are a sign of weakness, but it is only when she is able to spend time with her son at the end of the story that she feels a sense of strength. With this, Kennedy suggests that while motherhood can involve a deep, loving connection with one’s child, it can also be a painfully lonely and alienating experience.
Motherhood ThemeTracker
Motherhood Quotes in Cake
Nobody looks guilty, do they? Nobody else is eating themselves alive like this, trying not to run to that childproof gate and tear back in there, scoop up their kid from the floor of the Tadpole Room and run screaming out of the place.
And he’s in there, alone, where she’s left him. Abandoned him to a roomful of rampaging strangers: big, chunky, runny-nose buzz-cut boys in miniature camouflage gear, already seasoned commanders of the play equipment and the puzzles.
‘I mean,’ she fumbles, feeling her face flush, ‘I’m very glad to be back, of course, but I actually like staying home. I’ve liked it, I mean.’ She senses, as they nod and smile, that this is not the answer they want.
Being a stay-at-home mum can begin to seem mundane and repetitive to many women who have experienced the challenges of a satisfying job and the stimulation of daily adult conversation, it begins.
Liz fishes out her wallet and finds a five-dollar note, snaps it shut before she has to look at the photo of Daniel tucked in there. His shy smile like a boobytrap. He’d have his thumb in his mouth right not. Not smiling, that’s for sure.
And those conscientious exclamation marks, as if it all urgently mattered. As if it meant something, as if things would fall apart without her, as if anybody could give a flying toss.
Here the piece breaks off for data records
<<<
Entry 1:
A geometry-optimized PrNi2B2C structure, computed with PBE-GGA.

* DFT formation energy: -0.433 eV/atom
* density: 7.0 g/cm³

Lattice parameters (Å, degrees): 3.726 3.726 9.958 90.00 90.00 90.00
Space group I4/mmm (No. 139)
Symmetry-distinct sites (fractional):
Pr 0.000 0.000 0.000 [2 per cell]
Ni 0.000 0.500 0.250 [4 per cell]
B 0.000 0.000 0.350 [4 per cell]
C 0.000 0.000 0.500 [2 per cell]


Entry 2:
A geometry-optimized SmNi2B2C structure, computed with PBE-GGA.

* DFT formation energy: -0.481 eV/atom
* size of the total moment: 0.02 Bohr magnetons per cell
* density: 7.5 g/cm³

Lattice parameters (Å, degrees): 3.633 3.633 10.164 90.00 90.00 90.00
Space group I4/mmm (No. 139)
Symmetry-distinct sites (fractional):
Sm 0.000 0.000 0.000 [2 per cell]
Ni 0.000 0.500 0.250 [4 per cell]
B 0.000 0.000 0.353 [4 per cell]
C 0.000 0.000 0.500 [2 per cell]


Entry 3:
A geometry-optimized TbY2Ni6B6C3 structure, computed with PBE-GGA.

* DFT formation energy: -0.507 eV/atom
* size of the total moment: 0.00 Bohr magnetons per cell
* density: 6.7 g/cm³

Lattice parameters (Å, degrees): 3.547 3.547 31.344 90.00 90.00 90.00
Space group I4/mmm (No. 139)
Symmetry-distinct sites (fractional):
Tb 0.000 0.000 0.000 [2 per cell]
Y 0.000 0.000 0.333 [4 per cell]
Ni 0.000 0.500 0.083 [8 per cell]
Ni 0.000 0.500 0.250 [4 per cell]
B 0.000 0.000 0.119 [4 per cell]
B 0.000 0.000 0.214 [4 per cell]
B 0.000 0.000 0.452 [4 per cell]
C 0.000 0.000 0.167 [4 per cell]
C 0.000 0.000 0.500 [2 per cell]


Entry 4:
A geometry-optimized TbYNi4B4C2 structure, computed with PBE-GGA.

* DFT formation energy: -0.507 eV/atom
* size of the total moment: 0.01 Bohr magnetons per cell
* density: 7.0 g/cm³

Lattice parameters (Å, degrees): 3.539 3.539 10.455 90.00 90.00 90.00
Space group P4/mmm (No. 123)
Symmetry-distinct sites (fractional):
Tb 0.000 0.000 0.000 [1 per cell]
Y 0.500 0.500 0.500 [1 per cell]
Ni 0.000 0.500 0.250 [4 per cell]
B 0.000 0.000 0.357 [2 per cell]
B 0.500 0.500 0.143 [2 per cell]
C 0.000 0.000 0.500 [1 per cell]
C 0.500 0.500 0.000 [1 per cell]


Entry 5:
A geometry-optimized Y3Ni4B4C3 structure, computed with PBE-GGA.

* DFT formation energy: -0.509 eV/atom
* size of the total moment: 0.00 Bohr magnetons per cell
* density: 5.9 g/cm³

Lattice parameters (Å, degrees): 3.581 3.581 25.355 90.00 90.00 90.00
Space group I4/mmm (No. 139)
Symmetry-distinct sites (fractional):
Y 0.000 0.000 0.000 [2 per cell]
Y 0.000 0.000 0.299 [4 per cell]
Ni 0.000 0.500 0.101 [8 per cell]
B 0.000 0.000 0.144 [4 per cell]
B 0.000 0.000 0.441 [4 per cell]
C 0.000 0.000 0.203 [4 per cell]
C 0.000 0.000 0.500 [2 per cell]


Entry 6:
A geometry-optimized NpB2C structure, computed with PBE-GGA.

* DFT formation energy: -0.286 eV/atom
* size of the total moment: 28.00 Bohr magnetons per cell
* density: 10.2 g/cm³

Lattice parameters (Å, degrees): 6.5445 6.5445 10.6671 90.00 90.00 120.00
Space group R-3m (No. 166, hexagonal axes)
Symmetry-distinct sites (fractional):
>>>
Liz concentrates on swallowing the claggy paste of cheese and pasta in her mouth. God in heaven, she thinks, forcing it down, if anyone else mentions fucking cake again today I’m going to burst a blood vessel.
‘That’s what I mean. Having to walk into a room full of pretty competitive strangers, all with their own agendas. That’s a bit of a tough gauntlet to run, doing it cold like that, getting thrown into the mix.’
‘We agreed it was always only going to be a temporary thing, you staying home,’ he goes on in a low, reasonable voice, his back still to her. ‘Because, you know, we’re locked into this.’
Something is tearing inside her, slowly and deliberately, like a perforated seam. And even as she’s admonishing herself that giving in will only make things worse tomorrow, her hands are functioning outside her own volition again, unbuttoning her shirt.